'''
Record 1
Below is a structure of composition C31H36CeN3O6 at a distorted geometry, with properties calculated with the ωB97M-V functional and the def2-TZVPD basis.

Positions of all 77 atoms, in Å:
Ce  0.5117  -0.4658  0.3539
O  -0.3032  -3.6508  3.0044
C  -0.6712  -2.8094  2.2249
O  -0.1853  -1.5732  2.1527
C  -1.8227  -3.0433  1.2465
C  -2.7765  -1.8298  1.2125
C  -4.1715  -2.2729  0.8143
C  -3.9414  -2.6580  -0.6636
C  -2.4977  -2.2186  -0.8903
O  -2.3245  -1.1025  0.0373
C  -1.4786  -3.1836  -0.2968
C  -0.0824  -2.6797  -0.6584
O  0.0071  -1.7097  -1.5014
O  0.8865  -2.9466  0.0664
H  -2.3452  -3.9384  1.5858
H  -2.6982  -1.1694  2.0727
H  -4.5219  -3.0998  1.4306
H  -4.8830  -1.4530  0.9045
H  -4.0701  -3.7225  -0.8579
H  -4.6131  -2.1142  -1.3260
H  -2.2561  -1.8915  -1.8964
H  -1.5887  -4.2131  -0.6435
C  5.6338  -0.4708  -1.3279
C  4.5069  -1.4797  -1.5352
C  3.7110  -1.2378  -2.7937
C  4.1127  -1.8388  -3.9829
C  3.4121  -1.6411  -5.1602
C  2.2755  -0.8475  -5.1488
C  1.8364  -0.2352  -3.9806
C  0.5624  0.5731  -3.9915
C  0.7613  2.0840  -4.0875
C  2.5853  -0.4153  -2.8140
N  2.1854  0.2077  -1.5843
C  2.7412  1.3406  -1.3298
C  2.6737  1.9803  -0.0481
C  3.2919  3.1591  0.3496
C  3.0859  3.2561  1.7357
C  2.3850  2.1099  2.0980
N  2.1247  1.3225  1.0297
H  6.2621  -0.7553  -0.4831
H  5.2537  0.5301  -1.1212
H  6.2667  -0.4019  -2.2141
H  3.8449  -1.4769  -0.6634
H  4.9251  -2.4878  -1.5847
H  4.9834  -2.4840  -3.9666
H  3.7384  -2.1183  -6.0743
H  1.6996  -0.7126  -6.0568
H  -0.0028  0.3211  -3.0921
H  -0.0450  0.2336  -4.8339
H  1.3068  2.4680  -3.2260
H  -0.1936  2.6155  -4.1321
H  1.3257  2.3536  -4.9813
H  3.3524  1.8378  -2.0898
H  3.8299  3.8469  -0.2839
H  3.4229  4.0348  2.3993
H  2.0587  1.8207  3.0852
O  -0.5222  1.5797  -0.9620
C  -0.5398  2.9333  -0.4736
C  -1.9575  3.3644  -0.1737
C  -2.7206  2.3524  0.6829
C  -2.0981  2.1557  2.0377
C  -2.5774  2.8596  3.1382
C  -2.0052  2.6663  4.3808
C  -0.9702  1.7545  4.4981
C  -0.5512  1.0945  3.3569
N  -1.0761  1.2935  2.1439
H  -1.0301  1.4982  -1.7731
H  -0.0555  3.5813  -1.2085
H  0.0938  2.9195  0.4127
H  -2.5011  3.5308  -1.1095
H  -1.9225  4.3334  0.3346
H  -2.7705  1.3844  0.1810
H  -3.7475  2.6974  0.8175
H  -3.4041  3.5448  3.0026
H  -2.3692  3.2066  5.2451
H  -0.4955  1.5407  5.4446
H  0.2318  0.3490  3.4224

Forces on atoms 1 to 3 (eV/Å):
Ce 0.174 2.214 0.569
O -0.154 -0.148 0.057
C 0.583 0.871 -0.143

## Properties
ΔE to the lowest compared entry with this formula, charge and spin = 0.0 kJ/mol
LUMO level (alpha / beta) = 0.2601 / 0.2604 eV
Kohn-Sham gap (alpha / beta) = 8.0 / 8.0 eV
spin multiplicity = 2

---

Record 2
Below is a cluster of 10 separate species, C31H36Cl36F7NO3 in total at a distorted geometry, with properties calculated with the ωB97M-V functional and the def2-TZVPD basis.

Positions of all 114 atoms, in Å:
C  1.4305  4.7342  -0.7637
C  2.0836  5.1093  0.5800
C  1.7667  4.2293  1.8007
F  2.8764  4.3514  2.6319
C  1.4871  2.7183  1.5664
C  2.2818  1.9521  0.4900
C  3.7034  2.3856  0.2211
O  4.4924  2.3624  1.3840
C  4.3255  1.3857  -0.7626
F  5.6375  1.6915  -0.9657
F  4.2992  0.1196  -0.2817
F  3.7166  1.4330  -1.9675
N  1.8654  2.0703  2.8622
C  1.0368  0.9710  3.0923
O  1.3505  0.0406  3.8159
C  -0.2797  1.0541  2.2380
C  -0.1449  -0.2062  1.3780
C  -1.2019  -0.5391  0.3146
C  -0.9946  0.1777  -1.0320
C  -2.6401  -0.4268  0.7734
C  -1.3785  1.1110  3.3059
F  -2.4286  1.8960  2.9188
F  -0.9139  1.6902  4.4559
F  -1.8418  -0.1146  3.6464
C  -0.0297  2.4389  1.6355
O  -0.7736  2.7976  0.5107
C  -1.4827  4.0111  0.6297
C  -2.5873  4.0868  -0.4158
C  -2.8806  5.5312  -0.8450
C  -3.8341  3.2811  -0.0507
C  -4.5908  3.6607  1.2291
C  -5.6533  4.7404  1.0348
C  -5.3353  2.3964  1.7180
H  0.8185  5.5521  -1.1199
H  0.8833  3.8033  -0.7589
H  2.2104  4.6287  -1.5149
H  3.1632  5.1684  0.5077
H  1.7718  6.1171  0.8336
H  0.9590  4.6925  2.3556
H  1.7333  1.9959  -0.4495
H  2.3249  0.9057  0.7609
H  3.7955  3.3455  -0.2758
'''

Could you count the lines earlier on that contain the word "calculated" and give the number alone?

2